Brief.
It remains to echo the notes further down without additions.

Contents.
+++
[1]
The following is a PBE calculation of a relaxed structure of Th2Cd3Ag2, from Alexandria.

Cell lengths 4.6472, 5.7792, 7.1376 Å; angles 96.48, 90.00, 113.71 degrees
Closest atoms and distances in Å follow each position.
Sites, in units of the cell vectors:
Th: 0.6115 0.2230 0.3461  5 Ag 3.04-3.24
Th: 0.3885 0.7770 0.6539  5 Ag 3.04-3.24
Cd: 0.2975 0.5949 0.1370  2 Ag 2.90, 3 Cd 3.12-3.18
Cd: 0.0000 0.0000 0.0000  2 Ag 2.82
Cd: 0.7025 0.4051 0.8630  2 Ag 2.90, 3 Cd 3.12-3.18
Ag: 0.1010 0.2021 0.6518  3 Cd 2.82-2.90, 1 Ag 2.85, 1 Th 3.04
Ag: 0.8990 0.7979 0.3482  3 Cd 2.82-2.90, 1 Ag 2.85, 1 Th 3.04

Calculated values
SG = C2/m, No. 12
ΔE to the lowest computed polymorph = 0.000 eV per formula unit
Formation energy = -0.06 eV per atom

[2]
The following is a PBE calculation of a relaxed structure of ThCd3Ag4, from Alexandria.

Cell lengths 4.7824, 4.7824, 9.1946 Å; angles 74.93, 74.93, 60.00 degrees
Closest atoms and distances in Å follow each position.
Sites, in units of the cell vectors:
Ag: 0.8717 0.8717 0.3850  7 Cd 2.94-3.15
Ag: 0.3920 0.3920 0.8239  4 Cd 2.84-2.85, 3 Th 3.16
Ag: 0.1283 0.1283 0.6150  7 Cd 2.94-3.15
Ag: 0.6080 0.6080 0.1761  4 Cd 2.84-2.85, 3 Th 3.16
Th: 0.0000 0.0000 0.0000  8 Ag 3.16-3.38
Cd: 0.2480 0.2480 0.2560  7 Ag 2.85-3.15
Cd: 0.7520 0.7520 0.7440  7 Ag 2.85-3.15
Cd: 0.5000 0.5000 0.5000  8 Ag 2.84-2.94

Calculated values
SG = R-3m, No. 166
Formation energy = -0.05 eV per atom

[3]
The following is a PBE calculation of a relaxed structure of ThCd2Ag, from Alexandria.

Cell lengths 3.4414, 3.4414, 7.9579 Å; angles 90.00, 90.00, 90.00 degrees
Closest atoms and distances in Å follow each position.
Sites, in units of the cell vectors:
Ag: 0.5000 0.5000 0.0000  8 Cd 2.94
Th: 0.5000 0.5000 0.5000  8 Cd 3.37, 4 Th 3.44
Cd: 0.0000 0.0000 0.7926  4 Ag 2.94
Cd: 0.0000 0.0000 0.2074  4 Ag 2.94

Calculated values
SG = P4/mmm, No. 123
Formation energy = -0.08 eV per atom

* * * * *

Below is a geometry-optimized GdCr3B4O12 structure, with properties calculated at the GGA+U level.

```
20
Lattice="3.765 -4.802 0.012 3.765 4.802 0.012 -2.379 0.000 5.620" Properties=species:S:1:pos:R:3 pbc="T T T"
B 0.353 2.135 3.127
B 3.765 0.532 0.012
B 0.000 0.000 0.000
B 1.034 -2.667 2.505
O 0.326 0.766 2.989
O 2.370 1.154 4.897
O 1.243 2.831 2.314
O 3.350 -1.920 4.002
O -1.492 -0.693 4.811
O 3.765 -0.860 0.012
O 2.782 1.154 0.748
O 3.765 -3.417 0.012
O 1.802 -1.920 1.642
O 4.826 0.766 2.655
O 0.143 -1.971 3.318
O 2.879 4.110 0.821
Cr 2.576 4.284 2.822
Cr -0.165 -2.142 5.324
Cr 5.316 -2.142 0.321
Gd 2.576 0.000 2.822
```

## Properties
Its magnetization is 2.0 μB/cell. Its total energy is -171.26 eV per cell. As for the space group: R32.
+++

Reply.
[1]
The following is a PBE calculation of a relaxed structure of Th2Cd3Ag2, from Alexandria.

Cell lengths 4.6472, 5.7792, 7.1376 Å; angles 96.48, 90.00, 113.71 degrees
Closest atoms and distances in Å follow each position.
Sites, in units of the cell vectors:
Th: 0.6115 0.2230 0.3461  5 Ag 3.04-3.24
Th: 0.3885 0.7770 0.6539  5 Ag 3.04-3.24
Cd: 0.2975 0.5949 0.1370  2 Ag 2.90, 3 Cd 3.12-3.18
Cd: 0.0000 0.0000 0.0000  2 Ag 2.82
Cd: 0.7025 0.4051 0.8630  2 Ag 2.90, 3 Cd 3.12-3.18
Ag: 0.1010 0.2021 0.6518  3 Cd 2.82-2.90, 1 Ag 2.85, 1 Th 3.04
Ag: 0.8990 0.7979 0.3482  3 Cd 2.82-2.90, 1 Ag 2.85, 1 Th 3.04

Calculated values
SG = C2/m, No. 12
ΔE to the lowest computed polymorph = 0.000 eV per formula unit
Formation energy = -0.06 eV per atom

[2]
The following is a PBE calculation of a relaxed structure of ThCd3Ag4, from Alexandria.

Cell lengths 4.7824, 4.7824, 9.1946 Å; angles 74.93, 74.93, 60.00 degrees
Closest atoms and distances in Å follow each position.
Sites, in units of the cell vectors:
Ag: 0.8717 0.8717 0.3850  7 Cd 2.94-3.15
Ag: 0.3920 0.3920 0.8239  4 Cd 2.84-2.85, 3 Th 3.16
Ag: 0.1283 0.1283 0.6150  7 Cd 2.94-3.15
Ag: 0.6080 0.6080 0.1761  4 Cd 2.84-2.85, 3 Th 3.16
Th: 0.0000 0.0000 0.0000  8 Ag 3.16-3.38
Cd: 0.2480 0.2480 0.2560  7 Ag 2.85-3.15
Cd: 0.7520 0.7520 0.7440  7 Ag 2.85-3.15
Cd: 0.5000 0.5000 0.5000  8 Ag 2.84-2.94

Calculated values
SG = R-3m, No. 166
Formation energy = -0.05 eV per atom

[3]
The following is a PBE calculation of a relaxed structure of ThCd2Ag, from Alexandria.

Cell lengths 3.4414, 3.4414, 7.9579 Å; angles 90.00, 90.00, 90.00 degrees
Closest atoms and distances in Å follow each position.
Sites, in units of the cell vectors:
Ag: 0.5000 0.5000 0.0000  8 Cd 2.94
Th: 0.5000 0.5000 0.5000  8 Cd 3.37, 4 Th 3.44
Cd: 0.0000 0.0000 0.7926  4 Ag 2.94
Cd: 0.0000 0.0000 0.2074  4 Ag 2.94

Calculated values
SG = P4/mmm, No. 123
Formation energy = -0.08 eV per atom

* * * * *

Below is a geometry-optimized GdCr3B4O12 structure, with properties calculated at the GGA+U level.

```
20
Lattice="3.765 -4.802 0.012 3.765 4.802 0.012 -2.379 0.000 5.620" Properties=species:S:1:pos:R:3 pbc="T T T"
B 0.353 2.135 3.127
B 3.765 0.532 0.012
B 0.000 0.000 0.000
B 1.034 -2.667 2.505
O 0.326 0.766 2.989
O 2.370 1.154 4.897
O 1.243 2.831 2.314
O 3.350 -1.920 4.002
O -1.492 -0.693 4.811
O 3.765 -0.860 0.012
O 2.782 1.154 0.748
O 3.765 -3.417 0.012
O 1.802 -1.920 1.642
O 4.826 0.766 2.655
O 0.143 -1.971 3.318
O 2.879 4.110 0.821
Cr 2.576 4.284 2.822
Cr -0.165 -2.142 5.324
Cr 5.316 -2.142 0.321
Gd 2.576 0.000 2.822
```

## Properties
Its magnetization is 2.0 μB/cell. Its total energy is -171.26 eV per cell. As for the space group: R32.